**Wanted:**
Your job: reproduce the whole of the calculation results further down without additions.

**Entries:**
=====
The following is a DFT calculation (PBE) of a relaxed structure of RbSr3Ac2S6.

Cell lengths 4.3360, 8.7822, 9.6786 Å; angles 102.67, 102.94, 90.00 degrees
Sites, in units of the cell vectors:
Rb (0.5000, 0.0000, 0.0000)
Sr (0.5000, 0.5000, 0.0000)
Sr (0.8381, 0.1653, 0.6761)
Sr (0.1619, 0.8347, 0.3239)
Ac (0.8351, 0.6694, 0.6702)
Ac (0.1649, 0.3306, 0.3298)
S (0.3243, 0.9074, 0.6487)
S (0.6684, 0.5831, 0.3368)
S (0.6757, 0.0926, 0.3513)
S (0.0041, 0.2735, 0.0081)
S (0.9959, 0.7265, 0.9918)
S (0.3316, 0.4169, 0.6632)

- Calculated density: 4.7 g/cm3
- Size of the total moment: 0.00 μB/cell
- Formation energy without anion corrections: -1977.1 meV/atom

---

The following is a DFT calculation (PBE) of a relaxed structure of LiTi2Fe.

Cell lengths 3.0055, 4.2586, 4.2586 Å; angles 90.00, 90.00, 90.00 degrees
Sites, in units of the cell vectors:
Li (0.5000, 0.5000, 0.5000)
Fe (0.5000, 0.0000, 0.0000)
Ti (0.0000, 0.0000, 0.5000)
Ti (0.0000, 0.5000, 0.0000)

- Calculated density: 4.8 g/cm3
- Size of the total moment: 0.00 μB/cell
- Relative energy among the computed polymorphs: 66.8 meV per atom

---

The following is a DFT calculation (PBE) of a relaxed structure of ScSbP.

Cell lengths 6.6918, 6.6918, 6.6918 Å; angles 90.00, 90.00, 90.00 degrees
Sites, in units of the cell vectors:
P (0.6296, 0.6296, 0.6296)
P (0.8704, 0.3704, 0.1296)
P (0.1296, 0.8704, 0.3704)
P (0.3704, 0.1296, 0.8704)
Sb (0.4128, 0.4128, 0.4128)
Sb (0.0872, 0.5872, 0.9128)
Sb (0.9128, 0.0872, 0.5872)
Sb (0.5872, 0.9128, 0.0872)
Sc (0.0328, 0.0328, 0.0328)
Sc (0.4672, 0.9672, 0.5328)
Sc (0.5328, 0.4672, 0.9672)
Sc (0.9672, 0.5328, 0.4672)

- Calculated density: 4.4 g/cm3
- Size of the total moment: 0.00 μB/cell
- Relative energy among the computed polymorphs: 226.9 meV per atom
- Formation energy without anion corrections: -469.0 meV/atom

---

The following is a DFT calculation (PBE) of a relaxed structure of Tb2AlCu3.

Cell lengths 3.8040, 4.0570, 8.1851 Å; angles 104.35, 103.44, 90.00 degrees
Sites, in units of the cell vectors:
Tb (0.1296, 0.1296, 0.2592)
Tb (0.8650, 0.3650, 0.7300)
Al (0.4604, 0.9604, 0.9207)
Cu (0.7030, 0.7030, 0.4060)
Cu (0.5441, 0.5441, 0.0883)
Cu (0.2979, 0.7979, 0.5959)

- Calculated density: 7.5 g/cm3
- Size of the total moment: 0.00 μB/cell
- Relative energy among the computed polymorphs: 13.3 meV per atom

---

The following is a DFT calculation (PBE) of a relaxed structure of CaTlBiSe2.

Cell lengths 5.5007, 5.9381, 5.5007 Å; angles 90.00, 90.00, 90.00 degrees
Sites, in units of the cell vectors:
Tl (0.5000, 0.5000, 0.5000)
Ca (0.0000, 0.0000, 0.0000)
Bi (0.0000, 0.5000, 0.0000)
Se (0.0000, 0.0000, 0.5000)
Se (0.5000, 0.0000, 0.0000)

- Calculated density: 5.7 g/cm3
- Size of the total moment: 0.00 μB/cell
- Formation energy without anion corrections: -88.3 meV/atom

---

The following is a DFT calculation (PBE) of a relaxed structure of Y8GaTe4Se3.

Cell lengths 8.4171, 8.5865, 8.4171 Å; angles 119.35, 120.00, 90.00 degrees
Sites, in units of the cell vectors:
Y (0.2360, 0.7196, 0.9836)
Y (0.2360, 0.7196, 0.4721)
Y (0.2608, 0.2823, 0.5215)
Y (0.7476, 0.7196, 0.9836)
Y (0.2524, 0.2804, 0.0164)
Y (0.7392, 0.7177, 0.4785)
Y (0.7640, 0.2804, 0.5279)
Y (0.7640, 0.2804, 0.0164)
Ga (0.0000, 0.5000, 0.0000)
Te (0.5000, 0.0000, 0.0000)
Te (0.5000, 0.0000, 0.5000)
Te (0.0000, 0.0000, 0.0000)
Te (0.0000, 0.0000, 0.5000)
Se (0.5000, 0.5000, 0.0000)
Se (0.5000, 0.5000, 0.5000)
Se (0.0000, 0.5000, 0.5000)

- Calculated density: 5.8 g/cm3
- Size of the total moment: 0.00 μB/cell
- Formation energy without anion corrections: -1449.8 meV/atom

---

The following is a DFT calculation (PBE) of a relaxed structure of Tb12PmIn6.

Cell lengths 8.8648, 8.8648, 8.8648 Å; angles 103.32, 103.32, 103.32 degrees
Sites, in units of the cell vectors:
Tb (0.8796, 0.1204, 0.5000)
Tb (0.8229, 0.5565, 0.5565)
Tb (0.5565, 0.5565, 0.8229)
Tb (0.4435, 0.1771, 0.4435)
Tb (0.4435, 0.4435, 0.1771)
Tb (0.1771, 0.4435, 0.4435)
Tb (0.1204, 0.5000, 0.8796)
=====

**Here it is:**
The following is a DFT calculation (PBE) of a relaxed structure of RbSr3Ac2S6.

Cell lengths 4.3360, 8.7822, 9.6786 Å; angles 102.67, 102.94, 90.00 degrees
Sites, in units of the cell vectors:
Rb (0.5000, 0.0000, 0.0000)
Sr (0.5000, 0.5000, 0.0000)
Sr (0.8381, 0.1653, 0.6761)
Sr (0.1619, 0.8347, 0.3239)
Ac (0.8351, 0.6694, 0.6702)
Ac (0.1649, 0.3306, 0.3298)
S (0.3243, 0.9074, 0.6487)
S (0.6684, 0.5831, 0.3368)
S (0.6757, 0.0926, 0.3513)
S (0.0041, 0.2735, 0.0081)
S (0.9959, 0.7265, 0.9918)
S (0.3316, 0.4169, 0.6632)

- Calculated density: 4.7 g/cm3
- Size of the total moment: 0.00 μB/cell
- Formation energy without anion corrections: -1977.1 meV/atom

---

The following is a DFT calculation (PBE) of a relaxed structure of LiTi2Fe.

Cell lengths 3.0055, 4.2586, 4.2586 Å; angles 90.00, 90.00, 90.00 degrees
Sites, in units of the cell vectors:
Li (0.5000, 0.5000, 0.5000)
Fe (0.5000, 0.0000, 0.0000)
Ti (0.0000, 0.0000, 0.5000)
Ti (0.0000, 0.5000, 0.0000)

- Calculated density: 4.8 g/cm3
- Size of the total moment: 0.00 μB/cell
- Relative energy among the computed polymorphs: 66.8 meV per atom

---

The following is a DFT calculation (PBE) of a relaxed structure of ScSbP.

Cell lengths 6.6918, 6.6918, 6.6918 Å; angles 90.00, 90.00, 90.00 degrees
Sites, in units of the cell vectors:
P (0.6296, 0.6296, 0.6296)
P (0.8704, 0.3704, 0.1296)
P (0.1296, 0.8704, 0.3704)
P (0.3704, 0.1296, 0.8704)
Sb (0.4128, 0.4128, 0.4128)
Sb (0.0872, 0.5872, 0.9128)
Sb (0.9128, 0.0872, 0.5872)
Sb (0.5872, 0.9128, 0.0872)
Sc (0.0328, 0.0328, 0.0328)
Sc (0.4672, 0.9672, 0.5328)
Sc (0.5328, 0.4672, 0.9672)
Sc (0.9672, 0.5328, 0.4672)

- Calculated density: 4.4 g/cm3
- Size of the total moment: 0.00 μB/cell
- Relative energy among the computed polymorphs: 226.9 meV per atom
- Formation energy without anion corrections: -469.0 meV/atom

---

The following is a DFT calculation (PBE) of a relaxed structure of Tb2AlCu3.

Cell lengths 3.8040, 4.0570, 8.1851 Å; angles 104.35, 103.44, 90.00 degrees
Sites, in units of the cell vectors:
Tb (0.1296, 0.1296, 0.2592)
Tb (0.8650, 0.3650, 0.7300)
Al (0.4604, 0.9604, 0.9207)
Cu (0.7030, 0.7030, 0.4060)
Cu (0.5441, 0.5441, 0.0883)
Cu (0.2979, 0.7979, 0.5959)

- Calculated density: 7.5 g/cm3
- Size of the total moment: 0.00 μB/cell
- Relative energy among the computed polymorphs: 13.3 meV per atom

---

The following is a DFT calculation (PBE) of a relaxed structure of CaTlBiSe2.

Cell lengths 5.5007, 5.9381, 5.5007 Å; angles 90.00, 90.00, 90.00 degrees
Sites, in units of the cell vectors:
Tl (0.5000, 0.5000, 0.5000)
Ca (0.0000, 0.0000, 0.0000)
Bi (0.0000, 0.5000, 0.0000)
Se (0.0000, 0.0000, 0.5000)
Se (0.5000, 0.0000, 0.0000)

- Calculated density: 5.7 g/cm3
- Size of the total moment: 0.00 μB/cell
- Formation energy without anion corrections: -88.3 meV/atom

---

The following is a DFT calculation (PBE) of a relaxed structure of Y8GaTe4Se3.

Cell lengths 8.4171, 8.5865, 8.4171 Å; angles 119.35, 120.00, 90.00 degrees
Sites, in units of the cell vectors:
Y (0.2360, 0.7196, 0.9836)
Y (0.2360, 0.7196, 0.4721)
Y (0.2608, 0.2823, 0.5215)
Y (0.7476, 0.7196, 0.9836)
Y (0.2524, 0.2804, 0.0164)
Y (0.7392, 0.7177, 0.4785)
Y (0.7640, 0.2804, 0.5279)
Y (0.7640, 0.2804, 0.0164)
Ga (0.0000, 0.5000, 0.0000)
Te (0.5000, 0.0000, 0.0000)
Te (0.5000, 0.0000, 0.5000)
Te (0.0000, 0.0000, 0.0000)
Te (0.0000, 0.0000, 0.5000)
Se (0.5000, 0.5000, 0.0000)
Se (0.5000, 0.5000, 0.5000)
Se (0.0000, 0.5000, 0.5000)

- Calculated density: 5.8 g/cm3
- Size of the total moment: 0.00 μB/cell
- Formation energy without anion corrections: -1449.8 meV/atom

---

The following is a DFT calculation (PBE) of a relaxed structure of Tb12PmIn6.

Cell lengths 8.8648, 8.8648, 8.8648 Å; angles 103.32, 103.32, 103.32 degrees
Sites, in units of the cell vectors:
Tb (0.8796, 0.1204, 0.5000)
Tb (0.8229, 0.5565, 0.5565)
Tb (0.5565, 0.5565, 0.8229)
Tb (0.4435, 0.1771, 0.4435)
Tb (0.4435, 0.4435, 0.1771)
Tb (0.1771, 0.4435, 0.4435)
Tb (0.1204, 0.5000, 0.8796)